Tuesday, November 30, 2010

Hillbounding Finale Nov.30 The Dirty Dozen

UPDATE 12-1-10

As I promised we did see snow today, not a lot but it is white. The forecast is for colder conditions making the possibility of at least pond skiing for real as we see freeze up. Check http://www.skinnyski.com/ for snow reports.

Stop, drop and roll. A fire safety drill? For the dozen skiers who ended the season of hillbounding tonight it meant simulating getting tripped up and recovering as you charge up the powerline hills. It also meant some dirty knees and a less than stylish way to “get back on” in the event you face plant during the Birkie (sooner or later it will happen).

Snow was falling and temps at Zero (C) as we finished the season with over a thousand collective reps up that hill. The group averaged 33 folks this season (a new record) and collectively performed at the highest level in recent memory. Critically speaking we had outstanding technical improvement and a higher level of technical understanding than ever before. I never worry about the physical output, the hill takes care of that and with a little testosterone thrown in, this workout can only be considered a brute!

So, where do you go from here? For some this is just a continuation of their summer training and for others it will continue with the 17th ANNUAL BIRKIE TRAINING CLASS that starts next Tuesday at the Aurora Sport Medicine Center. See http://www.incompetition.com/ for more info. As we approach snow note a few things. Take it easy. Get the ski legs under you and spend all your mental and physical effort working solely on TECHNIQUE. 50 to 100 km should be spent going slow and efficiently. There is absolutely no benefit to going hard early. Skiing alone and with a HRM is a good idea. Focusing on being technically good will pay big dividends later.

For those in the Birkie class expect an email soon. There will be some changes and even some (eeek) baseline testing. I would like to see some quantifiable improvements this year, expect some new ideas (yikes), they should not hurt………..much.

I had fun this year. You guys made it so and your hard work WILL pay off. You may even find it all downhill from here. There is only 9 months or so until we meet on the hill again so take advantage of your conditioning and your skills and we will see you on the trails. I will try and post here regularly so stay in touch. Please feel free to email me at goincomp@att.net Skal vi gå går på ski

Wednesday, November 24, 2010

Hillbounding Oct. 23 2010 Twenty Something

West Yellowstone MT, this past weekend. Keith and Andy suffered with conditions like this.

Darkness greeted the 10th hillbounding session of the year and it was a night with many elements. There were 25 skiers that braved the 22 degree temps while doing 29 reps. The city closes the park early after mid November so parking becomes a problem but we squeeze in where we can. Last night was the first time we saw below freezing temps and no one wearing shorts (although Matt did strip down to a tee). Next year (reminder to self) we will shift the last two sessions to Saturday mornings but unless there is snow we shall have our last session at its regular time and place. Check here for updates next Tuesday.

The cold slowed the warm up a little and things looked a little sluggish to start but after 30 minutes everyone was up to operating temperature and things went smooth. I am seeing less and less of the glaring mistakes and more and more ski like bounding. The improvement over the first few weeks is quite stunning (note that those first few sessions give you a huge head start later on). The intensity was quite high; you could really see the “fog” pouring out of everyone’s mouth when silhouetted against the night lights. Sweet!

We are less than two weeks away from Birkie Class 17. If you plan on doing it sign up now as we have a limit. There are a lot of couples this year, that means you guys will have to behave, I’m curious about that. See http://www.incompetition.com/html/runEventRegister.psp . We have heard a lot of ideas for the jackets; Try one on here at the store to reserve your size.

There is snow up north and even more in Eastern MN. We are only a week or two away so put http://www.skinnyski.com/ in your favorites and don’t forget to put in your own trail reviews but be careful for what you wish for http://forecast.weather.gov/MapClick.php?CityName=West+Yellowstone&state=MT&site=TFX&textField1=44.6622&textField2=-111.103&e=0 Note the -3 was the high!! The Noodleini Run is this weekend http://www.midwestsportsevents.com/noodleini.html but first the Turkey Trot takes off tomorrow http://www.festivalturkeytrot.com/index.php?option=com_content&task=view&id=34&Itemid=41

We stoneground a few dozen skis this morning, snow is coming and we have just one more hillbounding session. Check here for updates as we get close. Nice effort tonight! Think snow, lots of snow.

Wednesday, November 17, 2010

_Someone pasted materials data at this point_
Compound: Er2B6Rh9
Source: the Materials Project
Functional: r²SCAN
Structure: optimized geometry

Results
E_form = -699 meV/atom
SG = P6/mmm
Total energy = -20.061 eV/atom
Magnetic moment = 0.000 μB/cell

Geometry as POSCAR:
```
Er2B6Rh9
1.0
5.552 0.000 0.000
-2.776 4.808 0.000
0.000 0.000 8.525
Er B Rh
2 6 9
Cartesian
0.000 0.000 1.751
0.000 0.000 6.775
0.000 3.205 1.430
0.000 3.205 4.263
0.000 3.205 7.096
2.776 1.603 1.430
2.776 1.603 4.263
2.776 1.603 7.096
-1.388 2.404 0.000
-1.388 2.404 2.861
-1.388 2.404 5.664
2.776 0.000 0.000
2.776 0.000 2.861
2.776 0.000 5.664
1.388 2.404 0.000
1.388 2.404 2.861
1.388 2.404 5.664
```

~~~~~

1.
! GGA+U Ho2VFeO6, optimized geometry; values from VASP
! Energy of formation from the pure elements, eV per atom: -3.0707
! Spin magnetization, μB/atom: 0.70
&SYSTEM
  ibrav = 0, nat = 20, ntyp = 4
/
ATOMIC_SPECIES
Fe 55.84 Fe.upf
O 16.00 O.upf
Ho 164.93 Ho.upf
V 50.94 V.upf
CELL_PARAMETERS angstrom
5.622 0.000 0.000
0.000 5.271 0.000
0.000 5.280 7.572
ATOMIC_POSITIONS angstrom
Fe 0.000 2.640 3.786
Fe 2.811 0.000 0.000
O 1.746 6.881 7.147
O 3.876 3.671 0.425
O 4.509 6.286 7.143
O 4.556 6.311 4.210
O 2.563 4.685 5.689
O 3.058 5.867 1.883
O 1.065 4.241 3.361
O 3.924 3.646 3.357
O 1.698 6.906 4.215
O 1.113 4.266 0.429
O 5.374 8.507 5.669
O 0.247 2.044 1.903
Ho 0.380 5.378 5.685
Ho 3.191 7.814 5.672
Ho 2.431 2.737 1.899
Ho 5.242 5.174 1.886
V 2.811 5.276 3.786
V 0.000 2.635 0.000



2.
! GGA+U CeFe4Cu3O12, optimized geometry; values from VASP
! Energy of formation from the pure elements, eV per atom: -1.6859
! Spin magnetization, μB/atom: 0.95
&SYSTEM
  ibrav = 0, nat = 20, ntyp = 4
/
ATOMIC_SPECIES
Ce 140.12 Ce.upf
O 16.00 O.upf
Fe 55.84 Fe.upf
Cu 63.55 Cu.upf
CELL_PARAMETERS angstrom
-3.747 3.747 3.747
3.747 -3.747 3.747
3.747 3.747 -3.747
ATOMIC_POSITIONS angstrom
Ce 0.000 0.000 0.000
O 2.284 0.000 1.236
O 1.236 5.210 0.000
O -1.463 3.747 2.511
O 1.236 2.284 0.000
O 3.747 2.511 1.463
O 2.511 -1.463 3.747
O 3.747 2.511 -1.463
O 0.000 1.236 5.210
O 2.511 1.463 3.747
O 1.463 3.747 2.511
O 0.000 1.236 2.284
O 5.210 0.000 1.236
Fe -1.873 1.873 1.873
Fe 1.873 -1.873 1.873
Fe 1.873 1.873 -1.873
Fe 1.873 1.873 1.873
Cu 3.747 0.000 0.000
Cu 0.000 3.747 0.000
Cu 0.000 0.000 3.747



3.
! GGA+U Li19Mn4P8O35F, optimized geometry; values from VASP
! Energy of formation from the pure elements, eV per atom: -2.5971
! Spin magnetization, μB/atom: 0.24
&SYSTEM
  ibrav = 0, nat = 67, ntyp = 5
/
ATOMIC_SPECIES
O 16.00 O.upf
P 30.97 P.upf
Li 6.94 Li.upf
Mn 54.94 Mn.upf
F 19.00 F.upf
CELL_PARAMETERS angstrom
6.782 0.000 0.000
3.375 10.099 0.000
3.390 0.291 10.228
ATOMIC_POSITIONS angstrom
O 8.293 4.299 6.157
O 5.066 4.530 0.633
O 8.455 8.576 1.946
O 2.976 5.548 2.081
O 9.759 4.838 8.129
O 6.385 9.983 7.190
O 8.463 9.409 9.373
O 5.099 7.139 6.614
O 8.478 0.804 4.510
O 5.256 6.249 4.172
O 7.185 5.490 1.961
O 10.572 9.947 7.160
O 8.453 3.633 3.170
O 5.101 3.225 3.608
O 5.065 5.845 9.580
O 9.746 7.364 9.871
O 1.691 0.964 0.835

Hillbounding November 16th Circle the Herd

This is sort of what the group looked like silhouetted standing alongside the fence, third from the right looks like Dan.

There are not many times in mid November where you can be out at night in a tee and shorts and be comfortable. For 32 folks that night was last night. The mid 40’s and still air was perfect for bounding and just cool enough that Mike and Matt kept their shirts on, whew!

The new V1 slide move we did went pretty well. It was harder than some thought and TIME WISE it took a little longer and used some mussscccles we are not used to. That makes it a keeper. I was smilin’ when I saw the efforts to pass each during the rope pull to the fence. I never saw Andy cross the knoll so fast.

Poling looked better, perhaps my little strap diatribe did some good but it was a noticeable improvement. As we enter the final TWO weeks (I know I said one but math was not my forte) we need to have that final build up to snow. Once snow comes you will need to slow your intensity and get those ski legs back but hillbounding will help make that adjustment dramatically easier.

With snow around the corner (there is snow on the ground in northern WI and in MN) you should be checking http://www.skinnyski.com/ for trail updates. Put it in your favorites. There are several from the group and GB heading to West Yellowstone Camp this next week. Drink like a fish, it is 6600’ and goes up from there. These weeks before snow should be peak hour weeks, get out there and remember we will be on snow soon.

The 17th Birkie Class registration is up and running. If you are by the store check out the Team Craft Jacket. It certainly is the best we have ever had http://www.craft-usa.com/cra_shop_zoom.php?back=185&category=4&headline=men&area=shop&type=bski&id=1079&bcsex=m We are limited on class size so it is important to let me know. I am building an email class roster which will be our method of communication. Go to http://www.incompetition.com/html/runEventRegister.psp to register.

Steve was so gassed last night he sent me his HRM strip but forgot to attach it. He looked like a dead man at the end but that puts him in good company. NOTE: The GB Parks SOMETIMES locks the lower gate to Bairds Creek. Park where you can and walk to the top, it is a nice warmup. Next week at 5:28pm.

Wednesday, November 10, 2010

Hillbounding Nov. 9 2010 Too'fer Tuesday

We go regardless of rain cold or snow, I laugh at the cold, har har har hack wheeze, sniffle. This was a few years back. It was actually pretty fun.

Steve’s HRM strip speaks volumes for the 40 skiers who took part in our first total night session. Click on it to expand it and note the wide base of each rep. The double rep set dictates a kind of forced pacing to your effort. This was perhaps the most solid technical effort yet. Most skiers were showing the improvement that only comes with repetition.

We should do a few more things next go round.

Poles, for our application short is good and get those straps on tight! I saw many loose poles. Something as mundane as a loose pole strap can have a very negative effect on your arm swing and leg drive. Take a minute to get those straps right.

We will continue the “Body Rope”. The forward lean from the ankle was pronounced, now we must memorize that position.

Get your heads up and find skiers and then find (quickly) a way to be more efficient. In racing another skier is all about energy conservation, if you can ski the same speed while expending less energy – you win. Think about that.

All in all it was a great night. It is not often in November we get conditions like that where more people wore shorts than not. Mike and Matt even gave a little sneak preview of their secret ambition http://www.barechest.org/ . We go again next week at 5:26 pm. Expect colder conditions as we will see snow in the next two weeks. Birkie Class registration opens soon and Deb is finalizing things now. Save the date of December 7. Look at our website http://www.incompetition.com/ later this week. Another note, The Ashwaubenon Ski Team is looking for older skis, boots and bindings for their team. If you have some and want to donate them they sure can use them as they have a lot of kids out this year. Drop them with us and they will get to the team.

Tuesday, November 2, 2010

Hillbounding Nov. 2nd Pictures Don't Lie

Note That Steve missed a few and that he felt Uber like.

Video linked in at http://www.flickr.com/photos/incomp/ Up now.
Wow indeed, what else can be said about 46 skiers bounding up a hill. The night was right for bounding with 40 degree temps, no wind and dry air as the group responded with a 30 rep output that improves with each week.
Thanks to Kyle Demerath for his exhibition of dynamic technique (after already being on the hill for 90 minutes). I hope that picture is burned into your memory banks. Seeing the image is important but being able to replicate it takes [repetitive] training, that is why we train and sometimes train tired. I watch world class skiers racing and they do indeed hold it together technically but it comes from thousands of repetitive hours training it over and over. Here is a quick but impressive video that dramatizes the point; http://www.youtube.com/watch?v=xdKiY92WE40&feature=fvw
With the number of athletes we have, individual comments are impossible and even generalizations are difficult but here goes anyway:
1/ Efforts were strong and powerful.
2/ Technique(s) held together for the most part although you could tell who the “veterans” were.
3/ Less “running” than before.
4/ Hand control mmmmmmmmmmmmmm…..we work on that.
Be sure to look at the video, there was some crowding and make sure you freeze the image by clicking your mouse on the cursor. Look (at image) for the forward shin angle and body lean. Pole angle and control and the dorsiflexon of the foot. Go back and review some of the earlier video. Check out Roy and Seth in the video, strong athletes, different styles. http://www.flickr.com/photos/incomp/?saved=1 Be sure to check out http://www.skinnyski.com/ for Stump Farm Duathlon results and photos while online.
So this week get an image in your mind of what you want to look like and then work on it so that it is automatic. Practice makes PERMANENT. Great solid night, perhaps the best yet. We are hitting the home stretch so get a picture in your head and just like getting a picture from inside, http://www.youtube.com/watch?v=4HmDISe8RYY we go again next Tue. at 5:26pm. I have to get the grass out of my shorts now.